Given =
~~~
The following is a DFT calculation (PBE+U) of a relaxed structure of MoPbWO6.

Electronic total energy, eV per atom: -6.9412

```
MoPbWO6
1.0
-4.9964 0.2230 0.6045
0.3725 -2.8568 4.1327
1.0256 8.0820 5.4943
O W Mo Pb
12 2 2 2
Direct
0.6664 0.6664 0.9935 O
0.7681 0.2319 0.8059 O
0.2840 0.2840 0.7001 O
0.3336 0.3336 0.9935 O
0.7840 0.2160 0.2001 O
0.7160 0.7160 0.7001 O
0.7319 0.7319 0.3059 O
0.8336 0.1664 0.4935 O
0.2681 0.2681 0.3059 O
0.2319 0.7681 0.8059 O
0.1664 0.8336 0.4935 O
0.2160 0.7840 0.2001 O
0.5000 0.5000 0.8330 W
0.0000 0.0000 0.3330 W
0.0000 0.0000 0.6697 Mo
0.5000 0.5000 0.1697 Mo
0.0000 0.0000 0.9982 Pb
0.5000 0.5000 0.4982 Pb
```

=====

First-principles (PBE-GGA) data for an optimized crystal structure of La3Tm6Th, as listed in Alexandria.

POSCAR file:
```
La3Tm6Th
1.0
4.737 -7.520 0.000
4.737 7.520 0.000
0.000 0.000 9.244
La Tm Th
6 12 2
Cartesian
4.737 7.061 4.622
3.169 2.181 0.122
3.169 -2.181 4.744
6.305 2.181 0.122
6.305 -2.181 4.744
4.737 -7.061 0.000
1.746 2.282 6.235
4.737 4.587 7.391
2.863 1.051 3.210
1.746 -2.282 1.613
2.863 -1.051 7.832
4.737 1.014 6.077
4.737 -1.014 1.455
6.611 1.051 3.210
7.729 2.282 6.235
6.611 -1.051 7.832
4.737 -4.587 2.769
7.729 -2.282 1.613
4.737 3.662 4.209
4.737 -3.662 8.831
```

Computed properties:
- E_tot: -94.858 eV for the cell shown
- Mass density: 8.4 g/cm3
- Energy of formation from the pure elements: 0.1602 eV per atom

First-principles (PBE-GGA) data for an optimized crystal structure of La4Tm5Th2, as listed in Alexandria.

POSCAR file:
```
La4Tm5Th2
1.0
3.603 0.000 0.000
0.000 8.788 0.000
1.799 2.759 11.418
La Tm Th
4 5 2
Cartesian
0.898 2.787 3.743
2.696 8.605 10.945
2.706 2.942 0.474
4.504 8.760 7.675
0.900 5.774 5.709
0.900 8.705 1.594
2.702 5.671 8.791
2.700 5.876 2.627
4.502 2.842 9.824
2.707 2.870 6.776
2.695 8.677 4.642
```

Computed properties:
- E_tot: -56.521 eV for the cell shown
- Mass density: 8.6 g/cm3
- Energy of formation from the pure elements: 0.0351 eV per atom

First-principles (PBE-GGA) data for an optimized crystal structure of La5Tm2Th, as listed in Alexandria.

POSCAR file:
```
La5Tm2Th
1.0
7.319 0.000 0.000
0.000 14.626 0.000
0.000 0.000 5.146
La Tm Th
10 4 2
Cartesian
0.000 0.000 0.000
0.073 3.706 0.000
1.810 5.518 2.573
1.850 12.831 2.573
3.586 11.019 0.000
3.660 7.313 0.000
3.733 3.607 0.000
5.469 1.795 2.573
5.509 9.108 2.573
7.246 10.920 0.000
1.742 9.073 2.573
1.918 1.760 2.573
5.401 12.866 2.573
5.578 5.553 2.573
0.000 7.313 0.000
3.660 0.000 0.000
```

Computed properties:
- E_tot: -81.669 eV for the cell shown
- Mass density: 7.6 g/cm3
- Energy of formation from the pure elements: 0.0207 eV per atom

First-principles (PBE-GGA) data for an optimized crystal structure of La8Tm5Th, as listed in Alexandria.

POSCAR file:
```
La8Tm5Th
1.0
8.588 0.000 0.000
-1.116 8.649 0.000
-4.013 -4.009 6.640
La Tm Th
8 5 1
Cartesian
0.000 0.000 0.000
-2.442 5.343 2.861
0.338 3.708 0.915
-0.495 0.443 3.510
-0.717 -2.332 5.870
0.695 3.897 4.372
3.087 1.596 2.828
3.903 7.758 0.944
-2.808 2.383 5.291
0.916 6.806 2.386
2.262 1.097 5.966
6.016 2.300 1.326
4.793 -1.071 4.357
3.391 4.588 1.040
```

Computed properties:
- E_tot: -66.786 eV for the cell shown
- Mass density: 7.4 g/cm3
- Energy of formation from the pure elements: 0.1722 eV per atom

- Which formula does entry 4 have?
  La8Tm5Th

=====

1.
Material: Ac4ZnNi
Method: DFT, PBE-GGA
State: optimized geometry

CIF file:
```
data_Ac4ZnNi
_cell_length_a 6.764
_cell_length_b 7.586
_cell_length_c 8.543
_cell_angle_alpha 90.00
_cell_angle_beta 108.46
_cell_angle_gamma 90.00
_symmetry_space_group_name_H-M 'P 1 21/m 1'
_symmetry_Int_Tables_number 11
loop_
_symmetry_equiv_pos_as_xyz
'x,y,z'
'-x,-y,-z'
'-x,y+1/2,-z'
'x,-y+1/2,z'
loop_
_atom_site_label
_atom_site_fract_x
_atom_site_fract_y
_atom_site_fract_z
Ac1 0.008 0.001 0.228
Ac2 0.436 0.250 0.625
Ac3 0.451 0.250 0.096
Zn1 0.196 0.750 0.549
Ni1 0.206 0.750 0.051
```

calculated volume = 415.81 Å³ per cell
energy of formation = -0.128 eV/atom

---

2.
~~~

To do =
Your job: restate only the lines earlier on with the word "Ni1" in them.

Response =
Ni1 0.206 0.750 0.051